OfflineRather work offline? Try Sejda Desktop This document has limited permissions. Provide the owner password to enable modifying its contents.Enter password How to Edit PDF Metadata Below we show how change PDF metadata fields on a PDF online (on Windows, Linux or Mac). ...
使用Adobe Acrobat Pro DC:打开PDF文件,选择“导出PDF”工具,将其转换为Word文档。 使用在线转换工具:访问Smallpdf或其他在线转换网站,上传PDF文件,选择转换为Word格式。 编辑Word文件:在Word中进行所需的修改。 再转换为PDF:完成编辑后,选择“文件”>“另存为”,将Word文档转换回PDF格式。 5.2 PDF转Excel (PDF ...
-- Here the piece breaks off for calculated crystals --
********
Entry from Materials Project: a relaxed Na2Mo3O13 crystal (PBE with a Hubbard U).

polymorph energy (0 for the lowest one)	0.000	eV/atom
V	15.8	Å³ per atom
formation enthalpy at 0 K	-1.407	eV/atom

The structure in CIF format:
```
data_Na2Mo3O13
_chemical_formula_sum 'Na4 Mo6 O26'
_symmetry_space_group_name_H-M 'C 1 m 1'
_symmetry_Int_Tables_number 8
_symmetry_space_group_name_Hall 'C -2y'
_cell_length_a 17.5971
_cell_length_b 3.5901
_cell_length_c 11.5869
_cell_angle_alpha 90.00
_cell_angle_beta 128.86
_cell_angle_gamma 90.00
loop_
_atom_site_label
_atom_site_fract_x
_atom_site_fract_y
_atom_site_fract_z
Na1 0.0000 0.0000 0.0000
Na2 0.1813 0.5000 0.5949
Mo1 0.2367 0.5000 0.3042
Mo2 0.4531 0.5000 0.3008
Mo3 0.4595 0.0000 0.5927
O1 0.0785 0.0000 0.4597
O2 0.0828 0.5000 0.6818
O3 0.1147 0.5000 0.1405
O4 0.2238 0.0000 0.0691
O5 0.2264 0.5000 0.4453
O6 0.2877 0.0000 0.3583
O7 0.3054 0.5000 0.2085
O8 0.3068 0.0000 0.8595
O9 0.3298 0.5000 0.8293
O10 0.4245 0.5000 0.5191
O11 0.4398 0.0000 0.3426
O12 0.4524 0.0000 0.7350
O13 0.4542 0.5000 0.1531
```

* * * * *

# Be2SiO4 PBE optimized geometry
# Symmetry: P-1, No. 2
# Formation energy from the elements in eV/atom: -2.49
# Energy above the lowest structure with this stoichiometry in meV per atom: 684
data_Be2SiO4
_cell_length_a 6.220
_cell_length_b 7.582
_cell_length_c 11.870
_cell_angle_alpha 97.61
_cell_angle_beta 111.20
_cell_angle_gamma 75.03
_symmetry_space_group_name_H-M 'P 1'
_symmetry_Int_Tables_number 1
_symmetry_space_group_name_Hall 'P 1'
loop_
_atom_site_label
_atom_site_fract_x
_atom_site_fract_y
_atom_site_fract_z
O1 0.649 0.894 0.116
O2 0.414 0.584 0.235
Si1 0.827 0.276 0.399
O3 0.387 0.438 0.812
Si2 0.894 0.390 0.238
O4 0.351 0.106 0.884
Be1 0.639 0.543 0.573
O5 0.189 0.394 0.317
Si3 0.106 0.610 0.762
O6 0.613 0.562 0.188
O7 0.055 0.177 0.510
Be2 0.315 0.786 0.266
Be3 0.685 0.214 0.734
Be4 0.723 0.692 0.119
Be5 0.229 0.427 0.185
O8 0.635 0.746 0.868
O9 0.108 0.808 0.835
O10 0.945 0.823 0.490
O11 0.932 0.523 0.134
Be6 0.931 0.975 0.783
O12 0.586 0.416 0.765
O13 0.068 0.477 0.866
O14 0.669 0.042 0.784
Be7 0.069 0.025 0.217
O15 0.638 0.397 0.466
Si4 0.510 0.057 0.184
O16 0.365 0.254 0.132
Be8 0.277 0.308 0.881
O17 0.902 0.133 0.697
O18 0.098 0.867 0.303
Be9 0.058 0.085 0.618
Be10 0.771 0.573 0.815
O19 0.892 0.192 0.165
Be11 0.942 0.915 0.382
Si5 0.173 0.724 0.601
O20 0.331 0.958 0.216
Si6 0.490 0.943 0.816
O21 0.711 0.087 0.328
Be12 0.361 0.457 0.427
O22 0.289 0.913 0.672
O23 0.362 0.603 0.534
O24 0.811 0.606 0.683

* * * * *

Entry 1:
This record from the Materials Project describes a geometry-optimized K2PbS2O8 structure. The functional is GGA-PBE.

Geometry as CIF:
```
data_K2PbS2O8
_chemical_formula_sum 'K6 Pb3 S6 O24'
_cell_length_a 5.5934
_cell_length_b 5.5934
_cell_length_c 21.2514
_cell_angle_alpha 90.00
_cell_angle_beta 90.00
_cell_angle_gamma 120.00
_space_group_name_H-M_alt 'R -3 m'
_space_group_IT_number 166
_space_group_name_Hall '-R 3 2"'
loop_
_atom_site_label
********
Edit PDF Metadata Online with SejdaSejda PDF metadata provides you with the best interface to work on. It allows you to edit PDF metadata online, including changing PDF Author, Title, Keywords, Subject, Creation Date and other metadata fields. To understand how you can edit PDF metadata across...
PDFescape:允许用户在线编辑PDF文件,添加注释和表单字段。 Sejda:提供多种PDF编辑功能,包括文本编辑和页面管理。 使用在线PDF编辑器的步骤通常如下: 打开所选的在线PDF编辑器网站。 上传要编辑的PDF文件。 使用提供的工具进行编辑。 下载编辑后的PDF文件。 在线PDF编辑器的优点是无需安装软件,但需要互联网连接,并且可...
Sejda Sejda is a comprehensive online PDF editor that covers a wide range of editing tasks, from merging and splitting PDFs to addingnewtext and annotations. It also supports secure document handling, making it a great option for those concerned about privacy. ...
How to Edit a PDF Online Identify the website of an online PDF editor, such as Sejda.", "Drag or upload your PDF to the website's homepage. Wait for your document to appear. From the top or side toolbar, select the type of edit or addition you'd like to make. ...
To edit a PDF in Windows 10 using SejdaPDF online, follow these steps: Step 1: Open your web browser and go to the official website of Sejda PDF. Step 2: Click the "Upload PDF file" button to upload the PDF file you want to edit. ...
There is, however, a built-in PDF viewer on Chrome. With that viewer, you can annotate, highlight, draw on, sign, and fill PDFs. Do free PDF editors exist? Sejda, like PDF Candy and Smallpdf, is one of the best free PDF editors available online in your browser. Hot Topics 1. ...
People create PDFs so that they can send them to others who can open them on any hardware or operating system without needing the app that was used to create them. Wherever you open a PDF—in a web browser, in Adobe Acrobat, Adobe Reader, Acrobat DC, PDFescape, Sejda, or in another...
People create PDFs so that they can send them to others who can open them on any hardware or operating system without needing the app that was used to create them. Wherever you open a PDF—in a web browser, in Adobe Acrobat, Adobe Reader, Acrobat DC, PDFescape, Sejda, or in another...